## Material
[1]
# ZnBiP2 | the Alexandria database | PBE-GGA | optimized geometry
data_ZnBiP2
_space_group_name_H-M_alt 'P 1'
_space_group_IT_number 1
_cell_length_a 4.8257
_cell_length_b 4.8257
_cell_length_c 4.8257
_cell_angle_alpha 60.00
_cell_angle_beta 60.00
_cell_angle_gamma 60.00
loop_
_space_group_symop_operation_xyz
'x,y,z'
loop_
_atom_site_label
_atom_site_fract_x
_atom_site_fract_y
_atom_site_fract_z
_atom_site_occupancy
P1 0.2500 0.2500 0.2500 1
Zn1 0.0000 0.0000 0.0000 1
P2 0.7500 0.7500 0.7500 1
Bi1 0.5000 0.5000 0.5000 1
# ΔE to the lowest computed polymorph, eV per formula unit: 1.540
# ρ, g/cm3: 7.03
# M_tot, μB/cell: 0.0

[2]
# ZnBi2P | the Alexandria database | PBE-GGA | optimized geometry
data_ZnBi2P
_space_group_name_H-M_alt 'P 1'
_space_group_IT_number 1
_cell_length_a 5.1131
_cell_length_b 5.1131
_cell_length_c 5.1131
_cell_angle_alpha 60.00
_cell_angle_beta 60.00
_cell_angle_gamma 60.00
loop_
_space_group_symop_operation_xyz
'x,y,z'
loop_
_atom_site_label
_atom_site_fract_x
_atom_site_fract_y
_atom_site_fract_z
_atom_site_occupancy
Zn1 0.5000 0.5000 0.5000 1
P1 0.0000 0.0000 0.0000 1
Bi1 0.7500 0.7500 0.7500 1
Bi2 0.2500 0.2500 0.2500 1
# ΔE to the lowest computed polymorph, eV per formula unit: 0.262
# ρ, g/cm3: 9.04
# M_tot, μB/cell: 0.0

[3]
# Zn2BiP | the Alexandria database | PBE-GGA | optimized geometry
data_Zn2BiP
_space_group_name_H-M_alt 'P 1'
_space_group_IT_number 1
_cell_length_a 6.2026
_cell_length_b 6.2026
_cell_length_c 6.8471
_cell_angle_alpha 63.07
_cell_angle_beta 63.07
_cell_angle_gamma 90.00
loop_
_space_group_symop_operation_xyz
'x,y,z'
loop_
_atom_site_label
_atom_site_fract_x
_atom_site_fract_y
_atom_site_fract_z
_atom_site_occupancy
Bi1 0.0000 0.0000 0.0000 1
Zn1 0.5541 0.1250 0.2500 1
Zn2 0.8750 0.8041 0.7500 1
P1 0.5000 0.5000 0.0000 1
Bi2 0.7500 0.2500 0.5000 1
P2 0.2500 0.7500 0.5000 1
Zn3 0.3750 0.4459 0.7500 1
Zn4 0.1959 0.6250 0.2500 1
# ΔE to the lowest computed polymorph, eV per formula unit: 0.000
# ρ, g/cm3: 6.09
# M_tot, μB/cell: 0.0

[4]
# Zn2BiP | the Alexandria database | PBE-GGA | optimized geometry
data_Zn2BiP
_space_group_name_H-M_alt 'P 1'
_space_group_IT_number 1
_cell_length_a 4.8487
_cell_length_b 4.8487
_cell_length_c 4.8487
_cell_angle_alpha 60.00
_cell_angle_beta 60.00
_cell_angle_gamma 60.00
loop_
_space_group_symop_operation_xyz
'x,y,z'
loop_
_atom_site_label
_atom_site_fract_x
_atom_site_fract_y
_atom_site_fract_z
_atom_site_occupancy
Zn1 0.2500 0.2500 0.2500 1
P1 0.0000 0.0000 0.0000 1
Bi1 0.5000 0.5000 0.5000 1
Zn2 0.7500 0.7500 0.7500 1
# ΔE to the lowest computed polymorph, eV per formula unit: 1.337
# ρ, g/cm3: 7.64
# M_tot, μB/cell: 0.0

[5]
# ZrBiP | the Alexandria database | PBE-GGA | optimized geometry
data_ZrBiP
_space_group_name_H-M_alt 'P 1'
_space_group_IT_number 1
_cell_length_a 3.5370
_cell_length_b 3.5367
_cell_length_c 11.2587
_cell_angle_alpha 88.92
_cell_angle_beta 88.92
_cell_angle_gamma 89.75
loop_
_space_group_symop_operation_xyz
'x,y,z'
loop_
_atom_site_label
_atom_site_fract_x
_atom_site_fract_y
_atom_site_fract_z
_atom_site_occupancy
Bi1 0.1634 0.6637 0.3672 1
P1 0.7652 0.2648 0.9170 1
P2 0.2348 0.7352 0.0830 1
Bi2 0.8366 0.3363 0.6328 1
Zr1 0.7297 0.2301 0.1615 1
Zr2 0.2703 0.7699 0.8385 1
# ΔE to the lowest computed polymorph, eV per formula unit: 0.136
# ρ, g/cm3: 7.81
# M_tot, μB/cell: 0.0

[6]
# ZrBiP | the Alexandria database | PBE-GGA | optimized geometry
data_ZrBiP
_space_group_name_H-M_alt 'P 1'
_space_group_IT_number 1
_cell_length_a 3.5629
_cell_length_b 12.8518
_cell_length_c 6.0521
_cell_angle_alpha 90.00
_cell_angle_beta 90.00
_cell_angle_gamma 90.00
loop_
_space_group_symop_operation_xyz
'x,y,z'
loop_
_atom_site_label
_atom_site_fract_x
_atom_site_fract_y
_atom_site_fract_z
_atom_site_occupancy
P1 0.0000 0.4386 0.7864 1
Bi1 0.0000 0.6979 0.9424 1
P2 0.5000 0.9386 0.7864 1
Bi2 0.5000 0.1979 0.9424 1
Zr1 0.5000 0.5688 0.6094 1
Zr2 0.5000 0.4312 0.1094 1
P3 0.5000 0.0614 0.2864 1
Zr3 0.0000 0.9312 0.1094 1

## Request
It remains to repeat everything earlier on exactly.

## Here it is
[1]
# ZnBiP2 | the Alexandria database | PBE-GGA | optimized geometry
data_ZnBiP2
_space_group_name_H-M_alt 'P 1'
_space_group_IT_number 1
_cell_length_a 4.8257
_cell_length_b 4.8257
_cell_length_c 4.8257
_cell_angle_alpha 60.00
_cell_angle_beta 60.00
_cell_angle_gamma 60.00
loop_
_space_group_symop_operation_xyz
'x,y,z'
loop_
_atom_site_label
_atom_site_fract_x
_atom_site_fract_y
_atom_site_fract_z
_atom_site_occupancy
P1 0.2500 0.2500 0.2500 1
Zn1 0.0000 0.0000 0.0000 1
P2 0.7500 0.7500 0.7500 1
Bi1 0.5000 0.5000 0.5000 1
# ΔE to the lowest computed polymorph, eV per formula unit: 1.540
# ρ, g/cm3: 7.03
# M_tot, μB/cell: 0.0

[2]
# ZnBi2P | the Alexandria database | PBE-GGA | optimized geometry
data_ZnBi2P
_space_group_name_H-M_alt 'P 1'
_space_group_IT_number 1
_cell_length_a 5.1131
_cell_length_b 5.1131
_cell_length_c 5.1131
_cell_angle_alpha 60.00
_cell_angle_beta 60.00
_cell_angle_gamma 60.00
loop_
_space_group_symop_operation_xyz
'x,y,z'
loop_
_atom_site_label
_atom_site_fract_x
_atom_site_fract_y
_atom_site_fract_z
_atom_site_occupancy
Zn1 0.5000 0.5000 0.5000 1
P1 0.0000 0.0000 0.0000 1
Bi1 0.7500 0.7500 0.7500 1
Bi2 0.2500 0.2500 0.2500 1
# ΔE to the lowest computed polymorph, eV per formula unit: 0.262
# ρ, g/cm3: 9.04
# M_tot, μB/cell: 0.0

[3]
# Zn2BiP | the Alexandria database | PBE-GGA | optimized geometry
data_Zn2BiP
_space_group_name_H-M_alt 'P 1'
_space_group_IT_number 1
_cell_length_a 6.2026
_cell_length_b 6.2026
_cell_length_c 6.8471
_cell_angle_alpha 63.07
_cell_angle_beta 63.07
_cell_angle_gamma 90.00
loop_
_space_group_symop_operation_xyz
'x,y,z'
loop_
_atom_site_label
_atom_site_fract_x
_atom_site_fract_y
_atom_site_fract_z
_atom_site_occupancy
Bi1 0.0000 0.0000 0.0000 1
Zn1 0.5541 0.1250 0.2500 1
Zn2 0.8750 0.8041 0.7500 1
P1 0.5000 0.5000 0.0000 1
Bi2 0.7500 0.2500 0.5000 1
P2 0.2500 0.7500 0.5000 1
Zn3 0.3750 0.4459 0.7500 1
Zn4 0.1959 0.6250 0.2500 1
# ΔE to the lowest computed polymorph, eV per formula unit: 0.000
# ρ, g/cm3: 6.09
# M_tot, μB/cell: 0.0

[4]
# Zn2BiP | the Alexandria database | PBE-GGA | optimized geometry
data_Zn2BiP
_space_group_name_H-M_alt 'P 1'
_space_group_IT_number 1
_cell_length_a 4.8487
_cell_length_b 4.8487
_cell_length_c 4.8487
_cell_angle_alpha 60.00
_cell_angle_beta 60.00
_cell_angle_gamma 60.00
loop_
_space_group_symop_operation_xyz
'x,y,z'
loop_
_atom_site_label
_atom_site_fract_x
_atom_site_fract_y
_atom_site_fract_z
_atom_site_occupancy
Zn1 0.2500 0.2500 0.2500 1
P1 0.0000 0.0000 0.0000 1
Bi1 0.5000 0.5000 0.5000 1
Zn2 0.7500 0.7500 0.7500 1
# ΔE to the lowest computed polymorph, eV per formula unit: 1.337
# ρ, g/cm3: 7.64
# M_tot, μB/cell: 0.0

[5]
# ZrBiP | the Alexandria database | PBE-GGA | optimized geometry
data_ZrBiP
_space_group_name_H-M_alt 'P 1'
_space_group_IT_number 1
_cell_length_a 3.5370
_cell_length_b 3.5367
_cell_length_c 11.2587
_cell_angle_alpha 88.92
_cell_angle_beta 88.92
_cell_angle_gamma 89.75
loop_
_space_group_symop_operation_xyz
'x,y,z'
loop_
_atom_site_label
_atom_site_fract_x
_atom_site_fract_y
_atom_site_fract_z
_atom_site_occupancy
Bi1 0.1634 0.6637 0.3672 1
P1 0.7652 0.2648 0.9170 1
P2 0.2348 0.7352 0.0830 1
Bi2 0.8366 0.3363 0.6328 1
Zr1 0.7297 0.2301 0.1615 1
Zr2 0.2703 0.7699 0.8385 1
# ΔE to the lowest computed polymorph, eV per formula unit: 0.136
# ρ, g/cm3: 7.81
# M_tot, μB/cell: 0.0

[6]
# ZrBiP | the Alexandria database | PBE-GGA | optimized geometry
data_ZrBiP
_space_group_name_H-M_alt 'P 1'
_space_group_IT_number 1
_cell_length_a 3.5629
_cell_length_b 12.8518
_cell_length_c 6.0521
_cell_angle_alpha 90.00
_cell_angle_beta 90.00
_cell_angle_gamma 90.00
loop_
_space_group_symop_operation_xyz
'x,y,z'
loop_
_atom_site_label
_atom_site_fract_x
_atom_site_fract_y
_atom_site_fract_z
_atom_site_occupancy
P1 0.0000 0.4386 0.7864 1
Bi1 0.0000 0.6979 0.9424 1
P2 0.5000 0.9386 0.7864 1
Bi2 0.5000 0.1979 0.9424 1
Zr1 0.5000 0.5688 0.6094 1
Zr2 0.5000 0.4312 0.1094 1
P3 0.5000 0.0614 0.2864 1
Zr3 0.0000 0.9312 0.1094 1